-- Wanted --
The reader should filter the listing below: keep the lines with the word "formation".

-- Excerpt --
<<<
(1)
LiMg2Cl at its PBEsol-relaxed geometry. Source: Alexandria, functional meta-GGA SCAN.

Excess energy over the best structure of this formula in the dataset ... 0.58 eV per formula unit
Uncorrected formation energy ... -0.418 eV per atom
Fermi-level density of states ... 1.24 states/eV per cell
Space group ... I-42d, No. 122

CIF file:
```
data_LiMg2Cl
_cell_length_a 6.345
_cell_length_b 6.345
_cell_length_c 6.345
_cell_angle_alpha 101.89
_cell_angle_beta 101.89
_cell_angle_gamma 126.02
_space_group_name_H-M_alt 'P 1'
_space_group_IT_number 1
_space_group_name_Hall 'P 1'
loop_
_atom_site_label
_atom_site_type_symbol
_atom_site_fract_x
_atom_site_fract_y
_atom_site_fract_z
_atom_site_occupancy
Li1 Li 0.000 0.000 0.000 1
Li2 Li 0.750 0.250 0.500 1
Mg1 Mg 0.167 0.625 0.042 1
Mg2 Mg 0.375 0.417 0.542 1
Mg3 Mg 0.583 0.125 0.958 1
Mg4 Mg 0.875 0.833 0.458 1
Cl1 Cl 0.250 0.750 0.500 1
Cl2 Cl 0.500 0.500 0.000 1
```

---

(2)
LiMgCl at its PBEsol-relaxed geometry. Source: Alexandria, functional meta-GGA SCAN.

Uncorrected formation energy ... -0.943 eV per atom
Fermi-level density of states ... 0.47 states/eV per cell
Space group ... I4mm, No. 107

CIF file:
```
data_LiMgCl
_cell_length_a 6.628
_cell_length_b 6.628
_cell_length_c 6.628
_cell_angle_alpha 151.17
_cell_angle_beta 151.17
_cell_angle_gamma 41.22
_space_group_name_H-M_alt 'P 1'
_space_group_IT_number 1
_space_group_name_Hall 'P 1'
loop_
_atom_site_label
_atom_site_type_symbol
_atom_site_fract_x
_atom_site_fract_y
_atom_site_fract_z
_atom_site_occupancy
Li1 Li 0.000 0.000 0.000 1
Mg1 Mg 0.693 0.693 0.000 1
Cl1 Cl 0.462 0.462 0.000 1
```

---

(3)
Li2MgCl4 at its PBEsol-relaxed geometry. Source: Alexandria, functional meta-GGA SCAN.

Uncorrected formation energy ... -2.058 eV per atom
Fermi-level density of states ... 0.00 states/eV per cell
Space group ... Imma, No. 74

CIF file:
```
data_Li2MgCl4
_cell_length_a 7.318
_cell_length_b 7.318
_cell_length_c 7.318
_cell_angle_alpha 120.88
_cell_angle_beta 119.46
_cell_angle_gamma 89.71
_space_group_name_H-M_alt 'P 1'
_space_group_IT_number 1
_space_group_name_Hall 'P 1'
loop_
_atom_site_label
_atom_site_type_symbol
_atom_site_fract_x
_atom_site_fract_y
_atom_site_fract_z
_atom_site_occupancy
Li1 Li 0.000 0.000 0.500 1
Li2 Li 0.000 0.500 0.000 1
Li3 Li 0.390 0.140 0.250 1
Li4 Li 0.610 0.860 0.750 1
Mg1 Mg 0.000 0.500 0.500 1
Mg2 Mg 0.500 0.500 0.000 1
Cl1 Cl 0.222 0.737 0.485 1
Cl2 Cl 0.248 0.260 0.512 1
Cl3 Cl 0.248 0.263 0.985 1
Cl4 Cl 0.248 0.736 0.988 1
Cl5 Cl 0.752 0.264 0.012 1
Cl6 Cl 0.752 0.737 0.015 1
Cl7 Cl 0.752 0.740 0.488 1
Cl8 Cl 0.778 0.263 0.515 1
```

---

(4)
LiMg2Cl at its PBEsol-relaxed geometry. Source: Alexandria, functional meta-GGA SCAN.

Excess energy over the best structure of this formula in the dataset ... 0.00 eV per formula unit
Uncorrected formation energy ... -0.564 eV per atom
Fermi-level density of states ... 0.69 states/eV per cell
Space group ... R-3m, No. 166

CIF file:
```
data_LiMg2Cl
_cell_length_a 8.725
_cell_length_b 8.725
_cell_length_c 8.725
_cell_angle_alpha 22.03
_cell_angle_beta 22.03
_cell_angle_gamma 22.03
_space_group_name_H-M_alt 'P 1'
_space_group_IT_number 1
_space_group_name_Hall 'P 1'
loop_
_atom_site_label
_atom_site_type_symbol
_atom_site_fract_x
_atom_site_fract_y
_atom_site_fract_z
_atom_site_occupancy
Li1 Li 0.000 0.000 0.000 1
Mg1 Mg 0.245 0.245 0.245 1
Mg2 Mg 0.755 0.755 0.755 1
Cl1 Cl 0.500 0.500 0.500 1
```

---

(5)
Li2MgCl at its PBEsol-relaxed geometry. Source: Alexandria, functional meta-GGA SCAN.

Excess energy over the best structure of this formula in the dataset ... 0.94 eV per formula unit
Uncorrected formation energy ... -0.661 eV per atom
Fermi-level density of states ... 2.37 states/eV per cell
Space group ... I-42d, No. 122

CIF file:
```
data_Li2MgCl
_cell_length_a 6.082
_cell_length_b 6.082
_cell_length_c 6.082
_cell_angle_alpha 107.27
_cell_angle_beta 107.27
_cell_angle_gamma 113.97
_space_group_name_H-M_alt 'P 1'
_space_group_IT_number 1
>>>

-- Completed --
Uncorrected formation energy ... -0.418 eV per atom
Uncorrected formation energy ... -0.943 eV per atom
Uncorrected formation energy ... -2.058 eV per atom
Uncorrected formation energy ... -0.564 eV per atom
Uncorrected formation energy ... -0.661 eV per atom